Now filter the notes below: keep the lines with the word "Zn".

~~~
# 1
The following is a computed X-ray powder pattern of Pr5TmSn4. It was derived from a structure optimized by DFT (GGA-PBE), using Cu Kα (λ = 1.5418 Å).
Neutral-atom scattering factors, no anomalous dispersion.

Structure:
```
Pr5TmSn4
1.0
8.359 -2.713 0.000
8.359 2.713 0.000
-0.133 0.000 7.306
Pr Tm Sn
5 1 4
direct
0.000 0.000 0.000
0.333 0.333 0.494
0.335 0.335 0.001
0.665 0.665 0.999
0.667 0.667 0.506
0.000 0.000 0.500
0.172 0.172 0.748
0.493 0.493 0.739
0.507 0.507 0.261
0.828 0.828 0.252
```

Main lines, by intensity (10 to 90 degrees two-theta):
- 2θ 33.4, intensity 100.0
- 2θ 33.9, intensity 96.1
- 2θ 32.1, intensity 54.6
- 2θ 33.0, intensity 52.0
- 2θ 46.7, intensity 39.4
- 2θ 61.2, intensity 26.0


# 2
The following is a computed X-ray powder pattern of Pr3Nd5Pd2. It was derived from a structure optimized by DFT (GGA-PBE), using Cu Kα (λ = 1.5418 Å).
Neutral-atom scattering factors, no anomalous dispersion.

Structure:
```
Pr3Nd5Pd2
1.0
-6.070 7.549 3.572
6.070 -7.549 3.572
6.070 7.549 -3.572
Pr Nd Pd
6 10 4
direct
0.166 0.221 0.387
0.250 0.250 0.000
0.334 0.721 0.055
0.666 0.279 0.945
0.750 0.750 0.000
0.834 0.779 0.613
0.033 0.750 0.283
0.077 0.717 0.793
0.250 0.750 0.500
0.423 0.217 0.640
0.467 0.750 0.717
0.533 0.250 0.283
0.577 0.783 0.360
0.750 0.250 0.500
0.923 0.283 0.207
0.967 0.250 0.717
0.150 0.929 0.078
0.350 0.429 0.779
0.650 0.571 0.221
0.850 0.071 0.922
```

Main lines, by intensity (10 to 90 degrees two-theta):
- 2θ 29.0, intensity 100.0
- 2θ 34.6, intensity 55.0
- 2θ 27.7, intensity 49.1
- 2θ 29.4, intensity 44.8
- 2θ 27.8, intensity 42.5
- 2θ 34.8, intensity 39.7


# 3
The following is a computed X-ray powder pattern of NaAg5Bi2. It was derived from a structure optimized by DFT (GGA-PBE), using Cu Kα (λ = 1.5418 Å).
Neutral-atom scattering factors, no anomalous dispersion.

Structure:
```
NaAg5Bi2
1.0
-2.310 4.120 5.195
2.310 -4.120 5.195
2.310 4.120 -5.195
Na Ag Bi
1 5 2
direct
0.000 0.000 0.000
0.191 0.361 0.830
0.469 0.639 0.830
0.500 0.000 0.500
0.531 0.361 0.170
0.809 0.639 0.170
0.224 0.724 0.500
0.776 0.276 0.500
```

Main lines, by intensity (10 to 90 degrees two-theta):
- 2θ 38.1, intensity 100.0
- 2θ 32.3, intensity 91.2
- 2θ 41.4, intensity 67.2
- 2θ 42.0, intensity 63.2
- 2θ 39.0, intensity 52.0
- 2θ 17.1, intensity 43.4


# 4
The following is a computed X-ray powder pattern of Li8Zn2Rh. It was derived from a structure optimized by DFT (GGA-PBE), using Cu Kα (λ = 1.5418 Å).
Neutral-atom scattering factors, no anomalous dispersion.

Structure:
```
Li8Zn2Rh
1.0
3.591 -4.798 0.000
3.591 4.798 0.000
-3.529 0.000 5.822
Li Zn Rh
8 2 1
direct
0.071 0.557 0.270
0.097 0.097 0.363
0.386 0.386 0.783
0.443 0.929 0.730
0.557 0.071 0.270
0.614 0.614 0.217
0.903 0.903 0.637
0.929 0.443 0.730
0.207 0.207 0.059
0.793 0.793 0.941
0.500 0.500 0.500
```

Main lines, by intensity (10 to 90 degrees two-theta):
- 2θ 17.3, intensity 100.0
- 2θ 18.5, intensity 79.4
- 2θ 39.6, intensity 37.1
- 2θ 31.6, intensity 24.7
- 2θ 24.8, intensity 23.1
- 2θ 36.1, intensity 22.8


# 5
The following is a computed X-ray powder pattern of LiAlNi2. It was derived from a structure optimized by DFT (GGA-PBE), using Cu Kα (λ = 1.5418 Å).
Neutral-atom scattering factors, no anomalous dispersion.

Structure:
```
LiAlNi2
1.0
2.584 0.000 0.000
0.000 3.681 0.000
0.000 0.000 5.017
Li Al Ni
1 1 2
direct
0.000 0.000 0.000
0.500 0.500 0.707
0.000 0.000 0.487
0.500 0.500 0.217
```

Main lines, by intensity (10 to 90 degrees two-theta):
- 2θ 42.8, intensity 100.0
- 2θ 43.7, intensity 91.5
- 2θ 17.7, intensity 88.0
- 2θ 50.7, intensity 57.6
- 2θ 30.1, intensity 55.0
- 2θ 73.6, intensity 35.1


# 6
The following is a computed X-ray powder pattern of AcTh2SiN5. It was derived from a structure optimized by DFT (GGA-PBE), using Cu Kα (λ = 1.5418 Å).
Neutral-atom scattering factors, no anomalous dispersion.

Structure:
```
AcTh2SiN5
1.0
6.794 0.000 0.000
0.000 6.794 0.000
0.000 0.000 5.823
Ac Th Si N
2 4 2 10
direct
0.000 0.000 0.000
~~~

Li Zn Rh